**Request:**
Now set down everything below without altering anything.
**Material:**
____________
Record 1
# Zn2Pd4Pt
Simulated powder X-ray diffraction pattern, Cu Kα (λ = 1.5418 Å). Input: a GGA-PBE-relaxed structure.
Peak positions follow from Bragg's law for the DFT cell and can differ from measured ones.

Peak list (10 most intense, 5° ≤ 2θ ≤ 70°, in order of rising 2θ)
- 22.86°, I = 23
- 32.08°, I = 22
- 33.62°, I = 28
- 37.01°, I = 30
- 37.25°, I = 44
- 39.17°, I = 88
- 39.48°, I = 93
- 42.36°, I = 100
- 43.79°, I = 32
- 44.88°, I = 28

Cell and atoms:
```
Zn2Pd4Pt
1.0
6.5552 0.0000 0.0000
0.0000 5.3316 0.0000
-3.0070 0.0000 6.1878
Zn Pd Pt
4 8 2
direct
0.0500 0.2500 0.3452
0.2583 0.7500 0.0826
0.7417 0.2500 0.9174
0.9500 0.7500 0.6548
0.2025 0.2500 0.0609
0.3469 0.5021 0.7756
0.3469 0.9979 0.7756
0.4774 0.2500 0.4885
0.5226 0.7500 0.5115
0.6531 0.0021 0.2244
0.6531 0.4979 0.2244
0.7975 0.7500 0.9391
0.0756 0.7500 0.3584
0.9244 0.2500 0.6416
```



Record 2
# Sc2AlZn3
Simulated powder X-ray diffraction pattern, Cu Kα (λ = 1.5418 Å). Input: a GGA-PBE-relaxed structure.
Peak positions follow from Bragg's law for the DFT cell and can differ from measured ones.

Peak list (10 most intense, 5° ≤ 2θ ≤ 70°, in order of rising 2θ)
- 18.12°, I = 5
- 20.25°, I = 3
- 23.42°, I = 3
- 24.60°, I = 8
- 27.87°, I = 18
- 36.71°, I = 100
- 41.15°, I = 89
- 50.44°, I = 21
- 56.32°, I = 28
- 57.59°, I = 10

Cell and atoms:
```
Sc2AlZn3
1.0
0.0000 4.3847 7.6023
3.2010 0.0000 7.6023
3.2010 4.3847 0.0000
Sc Al Zn
4 2 6
direct
0.2478 0.7522 0.7522
0.2500 0.2500 0.2500
0.7500 0.7500 0.7500
0.7522 0.2478 0.2478
0.3333 0.3333 0.6667
0.6667 0.6667 0.3333
0.1658 0.1658 0.8342
0.1667 0.6677 0.3323
0.3323 0.8333 0.1667
0.6677 0.1667 0.8333
0.8333 0.3323 0.6677
0.8342 0.8342 0.1658
```



Question: Which formula does entry 1 have?
Answer: Zn2Pd4Pt



Please write out number 1 again, unchanged.
# Zn2Pd4Pt
Simulated powder X-ray diffraction pattern, Cu Kα (λ = 1.5418 Å). Input: a GGA-PBE-relaxed structure.
Peak positions follow from Bragg's law for the DFT cell and can differ from measured ones.

Peak list (10 most intense, 5° ≤ 2θ ≤ 70°, in order of rising 2θ)
- 22.86°, I = 23
- 32.08°, I = 22
- 33.62°, I = 28
- 37.01°, I = 30
- 37.25°, I = 44
- 39.17°, I = 88
- 39.48°, I = 93
- 42.36°, I = 100
- 43.79°, I = 32
- 44.88°, I = 28

Cell and atoms:
```
Zn2Pd4Pt
1.0
6.5552 0.0000 0.0000
0.0000 5.3316 0.0000
-3.0070 0.0000 6.1878
Zn Pd Pt
4 8 2
direct
0.0500 0.2500 0.3452
0.2583 0.7500 0.0826
0.7417 0.2500 0.9174
0.9500 0.7500 0.6548
0.2025 0.2500 0.0609
0.3469 0.5021 0.7756
0.3469 0.9979 0.7756
0.4774 0.2500 0.4885
0.5226 0.7500 0.5115
0.6531 0.0021 0.2244
0.6531 0.4979 0.2244
0.7975 0.7500 0.9391
0.0756 0.7500 0.3584
0.9244 0.2500 0.6416
```

=====
____________
**Completed:**
Record 1
# Zn2Pd4Pt
Simulated powder X-ray diffraction pattern, Cu Kα (λ = 1.5418 Å). Input: a GGA-PBE-relaxed structure.
Peak positions follow from Bragg's law for the DFT cell and can differ from measured ones.

Peak list (10 most intense, 5° ≤ 2θ ≤ 70°, in order of rising 2θ)
- 22.86°, I = 23
- 32.08°, I = 22
- 33.62°, I = 28
- 37.01°, I = 30
- 37.25°, I = 44
- 39.17°, I = 88
- 39.48°, I = 93
- 42.36°, I = 100
- 43.79°, I = 32
- 44.88°, I = 28

Cell and atoms:
```
Zn2Pd4Pt
1.0
6.5552 0.0000 0.0000
0.0000 5.3316 0.0000
-3.0070 0.0000 6.1878
Zn Pd Pt
4 8 2
direct
0.0500 0.2500 0.3452
0.2583 0.7500 0.0826
0.7417 0.2500 0.9174
0.9500 0.7500 0.6548
0.2025 0.2500 0.0609
0.3469 0.5021 0.7756
0.3469 0.9979 0.7756
0.4774 0.2500 0.4885
0.5226 0.7500 0.5115
0.6531 0.0021 0.2244
0.6531 0.4979 0.2244
0.7975 0.7500 0.9391
0.0756 0.7500 0.3584
0.9244 0.2500 0.6416
```



Record 2
# Sc2AlZn3
Simulated powder X-ray diffraction pattern, Cu Kα (λ = 1.5418 Å). Input: a GGA-PBE-relaxed structure.
Peak positions follow from Bragg's law for the DFT cell and can differ from measured ones.

Peak list (10 most intense, 5° ≤ 2θ ≤ 70°, in order of rising 2θ)
- 18.12°, I = 5
- 20.25°, I = 3
- 23.42°, I = 3
- 24.60°, I = 8
- 27.87°, I = 18
- 36.71°, I = 100
- 41.15°, I = 89
- 50.44°, I = 21
- 56.32°, I = 28
- 57.59°, I = 10

Cell and atoms:
```
Sc2AlZn3
1.0
0.0000 4.3847 7.6023
3.2010 0.0000 7.6023
3.2010 4.3847 0.0000
Sc Al Zn
4 2 6
direct
0.2478 0.7522 0.7522
0.2500 0.2500 0.2500
0.7500 0.7500 0.7500
0.7522 0.2478 0.2478
0.3333 0.3333 0.6667
0.6667 0.6667 0.3333
0.1658 0.1658 0.8342
0.1667 0.6677 0.3323
0.3323 0.8333 0.1667
0.6677 0.1667 0.8333
0.8333 0.3323 0.6677
0.8342 0.8342 0.1658
```



Question: Which formula does entry 1 have?
Answer: Zn2Pd4Pt



Please write out number 1 again, unchanged.
# Zn2Pd4Pt
Simulated powder X-ray diffraction pattern, Cu Kα (λ = 1.5418 Å). Input: a GGA-PBE-relaxed structure.
Peak positions follow from Bragg's law for the DFT cell and can differ from measured ones.

Peak list (10 most intense, 5° ≤ 2θ ≤ 70°, in order of rising 2θ)
- 22.86°, I = 23
- 32.08°, I = 22
- 33.62°, I = 28
- 37.01°, I = 30
- 37.25°, I = 44
- 39.17°, I = 88
- 39.48°, I = 93
- 42.36°, I = 100
- 43.79°, I = 32
- 44.88°, I = 28

Cell and atoms:
```
Zn2Pd4Pt
1.0
6.5552 0.0000 0.0000
0.0000 5.3316 0.0000
-3.0070 0.0000 6.1878
Zn Pd Pt
4 8 2
direct
0.0500 0.2500 0.3452
0.2583 0.7500 0.0826
0.7417 0.2500 0.9174
0.9500 0.7500 0.6548
0.2025 0.2500 0.0609
0.3469 0.5021 0.7756
0.3469 0.9979 0.7756
0.4774 0.2500 0.4885
0.5226 0.7500 0.5115
0.6531 0.0021 0.2244
0.6531 0.4979 0.2244
0.7975 0.7500 0.9391
0.0756 0.7500 0.3584
0.9244 0.2500 0.6416
```

=====